Senran Kagura: Estival Versus Review – Naked Is Sacred

Some games resonate with you in just the right way. They deliver such an immensely satisfying experience that you kinda want to shout their praises from the rooftops, yet when it’s a game that only targets a niche (I really hate that word) audience, you wonder if your endorsement may fall on deaf ears.

# Materials data, kept here for reference
Here is an optimized crystal structure of Er6Nb4Al43 from Materials Project. Energies are from GGA-PBE.

Values from the calculation:
Calculated formation energy: -0.327 eV per atom
V: 1895 Å³/cell
VASP energy: -0.17072 hartree per atom

a b c (Å): 11.1155 11.1155 17.7065
angles (deg): 90.00 90.00 120.00
Closest atoms and distances in Å follow each position.
Space group P6_3/mcm (No. 193)
Unique sites:
1 Er 0.0000 0.4697 0.0962  14 Al 3.06-3.42
2 Nb 0.0000 0.0000 0.0000  12 Al 2.70-2.91
3 Nb 0.0000 0.2744 0.2500  10 Al 2.64-2.75
4 Al 0.0000 0.1471 0.7500  2 Nb 2.64, 10 Al 2.83-2.93
5 Al 0.0000 0.1591 0.1152  2 Nb 2.70-2.71, 7 Al 2.76-2.93
6 Al 0.0000 0.2569 0.5303  9 Al 2.75-3.05, 1 Nb 2.91
7 Al 0.1500 0.5544 0.2500  1 Nb 2.70, 7 Al 2.74-2.89
8 Al 0.1568 0.3944 0.6635  8 Al 2.74-3.06, 1 Nb 2.75, 1 Er 3.06
9 Al 0.2472 0.4944 0.0000  6 Al 2.75-2.87
10 Al 0.3333 0.6667 0.1263  9 Al 2.74-2.82

=====

## LaAgPb (PBE)

Data for a geometry-optimized LaAgPb structure.

Output
Its formation energy is -0.278 eV per atom.

Cell: 8.694 4.940 8.347 Å, 90.00 90.26 90.00°
Space group C2/m (No. 12)
Symmetry-distinct sites (fractional):
La 0.001 0.000 0.226 (multiplicity 4)
Ag 0.166 0.500 0.987 (multiplicity 4)
Pb 0.167 0.500 0.553 (multiplicity 4)

## SmHoTl2 (PBE)

Data for a geometry-optimized SmHoTl2 structure.

Output
Its formation energy is -0.351 eV per atom.

Cell: 7.650 7.650 7.650 Å, 90.00 90.00 90.00°
Space group Fm-3m (No. 225)
Symmetry-distinct sites (fractional):
Sm 0.000 0.000 0.000 (multiplicity 4)
Ho 0.000 0.000 0.500 (multiplicity 4)
Tl 0.250 0.250 0.250 (multiplicity 8)

## La2MgSe4 (PBE)

Data for a geometry-optimized La2MgSe4 structure.

Output
Its formation energy is -2.029 eV per atom. The value obtained for the energy above the most stable polymorph in this dataset is 0.000 eV/atom.

Cell: 14.896 8.746 6.974 Å, 90.00 90.00 90.00°
Space group Pnma (No. 62)
Symmetry-distinct sites (fractional):
La 0.000 0.000 0.000 (multiplicity 4)
La 0.232 0.250 0.499 (multiplicity 4)
Mg 0.093 0.750 0.582 (multiplicity 4)
Se 0.066 0.250 0.258 (multiplicity 4)
Se 0.093 0.750 0.216 (multiplicity 4)
Se 0.168 0.518 0.751 (multiplicity 8)

## SbICl2F6 (PBE)

Data for a geometry-optimized SbICl2F6 structure.

Output
Its formation energy is -1.891 eV per atom.

Cell: 10.931 12.274 13.247 Å, 90.00 90.00 90.00°
Space group Cmce (No. 64)
Symmetry-distinct sites (fractional):
Sb 0.000 0.205 0.058 (multiplicity 8)
I 0.250 0.092 0.750 (multiplicity 8)
Cl 0.164 0.031 0.359 (multiplicity 16)
F 0.000 0.071 0.130 (multiplicity 8)
F 0.000 0.154 0.495 (multiplicity 8)
F 0.124 0.240 0.652 (multiplicity 16)
F 0.126 0.157 0.970 (multiplicity 16)

## MoI3 (PBE)

Data for a geometry-optimized MoI3 structure.

Output
Its formation energy is -0.259 eV per atom.

Cell: 10.9188 10.9188 3.7194 Å, 90.00 90.00 120.00°
Space group P6_3/mmc (No. 194)
Symmetry-distinct sites (fractional):
Mo 0.3333 0.6667 0.2500 (multiplicity 2)
I 0.2205 0.4410 0.7500 (multiplicity 6)

## VB2S4 (PBE)

And so, we wait, keeping our ‘guilty pleasure’ game to ourselves until, after many years of cautious silence, we’re suddenly hit with that spark of inspiration to put our experience into words. The subject of today’s review is one such hidden treasure.

Senran Kagura: Estival Versus is a special game, not just because of its anarchic ninja action and enough naked girls to satisfy even the most dedicated harem enthusiast, but because it’s a beautiful story of many individual arcs, themes and perspectives.


Senran Kagura: Estival Versus is a hack-and-slash ecchi game developed by Tamsoft and published by Xseed Games. It’s part of the long-running Senran Kagura series and was released for PlayStation Vita and the first in the series to be enhanced for PlayStation 4, with both versions releasing in March 2016.

Multiple games exist within the Senran Kagura series, many on the Vita, including main entry Senran Kagura: Shinovi Versus. Estival Versus is set after Shinovi Versus, when more rival groups have already entered the fray and friendships are beginning to grow and blossom.

I suppose we’d better talk about the fan-service before we go on, since it’s a pretty visible factor we’ll need to make our peace with. The Senran Kagura series features constant nudity in all of the games which is very much the primary selling point here. During the battles, clothing will rip and fly off, again and again, until there’s nothing left.

The nudity is always there. So, if the image of an exhausted busty naked Japanese highschool girl panting on the floor with her legs akimbo and only a few (in)conveniently placed light particles covering her naughty places offends you, then you’re not going to have a happy-bouncy time with this one. Consider yourselves warned. Now that’s out of the way, we have a lot of backstory to get through.


Estival Versus is set a little later in the saga of Senran Kagura, a tale of rival trainee shinobi students competing to graduate their respective kunoichi schools and master the ultimate fighting techniques to attain the rank of ‘Kagura’, the best of the best, but with great power comes great responsibility.

The Kagura is considered a hero, a hero who will defeat the Yōma; an extradimensional demon which is born from the very bloodshed caused by the same shinobi who fight to stop it. Battling a Yōma is usually a one-way trip, and so the young shinobi students try to enjoy life’s simple pleasures outside of training, knowing, one day, it will all come to an end.

The five Elite girls of Hanzō National Academy study martial arts and shinobi history, in order to preserve peace and happiness for all. Their foremost student, the legendary Hanzō’s upbeat granddaughter Asuka, spars constantly alongside the samurai Ikaruga and handsy kick-boxer Katsuragi to make everyone stronger, and continually makes more friends wherever she goes.

Hebijo Clandestine Girls’ Academy stands as a symbol of hope for lost souls, yet also a dark, foreboding lair for unorthodox shinobis who are often unfairly labelled ‘evil’, submitting themselves to a life of discipline, subterfuge and violence. The school’s five Elite students carry its banner with pride, ready to fight for its honour as a legitimate school worthy of respect. The gender-dysphoric Miyabi leads the new class who seek to replace the former squad of deserters, alongside the newly-recruited quirky sisters, Ryōbi and Ryōna.

Homura and her four closest friends once served as the Elites of Hebijo Academy. When Dōgen, Hebijo’s chief financier, tried to twist the school into a demonic ritual ground, Homura killed him, then fled with her friends into hiding. For months, they lived a life of desperation together, working menial jobs by day, then training in their cave-hideout by night. Although Hebijo has since pardoned the group, Homura and her friends have started to grow accustomed to the renegade vigilante lifestyle since it allows them to be shinobi on their own terms. They are now known as the Crimson Squad.

Fronted by the beautiful ice-powered shinobi Yumi, five Elite students of the Gessen Girls’ Academy all studied under the infamous renegade shinobi Kurokage, who once fought to purge all evil from the world. Old age and love for his students eventually calmed his righteous fury, but that didn’t stop his students from picking up where he’d left off. In time, the girls’ experiences with the other factions broadened their views of right and wrong, and today they struggle to reconcile their teachings and beliefs with the ambiguities of the modern world.

The tireless dedication of Japan’s shinobi students does occasionally bring rewards. Once every thousand years, a convergence of mystical forces brings about the Kagura Millennium Festival, whose Overseers take on the task of laying departed shinobi souls to rest. This millennium, Hanzō’s wife Sayuri has taken charge of the Festival, bringing together three shrine maidens and a particularly radiant soul to assist in the proceedings on a warm yet otherworldly summer island.

Unbeknownst to all but Sayuri, the Festival is more than it appears to be. Deeper secrets lie beneath its friendly battles, lights and festivities, and if the up-and-coming shinobi students can prove they’re ready to learn, those secrets just might change their fates. For the next week, the spirits of the dead are coming back to test their skills against the living, including a familiar girl named Ryōki.


From the Beach Menu, you can start a mission or prepare for one by getting changed. Adventure scenes advance the story by presenting character dialogues and visual novel sequences. The heart of the game, as you might expect, is where you take control and battle through stages of varying shapes, sizes and themes. Play through various story missions or take on character-specific missions; either way, you’ll be beating up enemies with the beautifully buxom ninja of your choice.

Each girl has her own style of martial arts to utilise. All can make use of both strong and weaker attacks to perform powerful combinations. A Combo Meter keeps track of how many attacks you chain on enemies, and the higher your combo score, the more XP you gain. Large combos also unlock new moves to deal even more damage. When you send your enemies flying, you can follow them into the air to perform an Aerial Rave, dealing further combo damage even while airborne. If your mission includes an NPC partner, you can even pair up with them to take airborne enemies down with a Fusion Aerial Rave.

Though the girls are masters at dealing out pain, they will inevitably take damage now and again. Each hit the girls take reduces both their health gauge and their costume’s durability. Their outfits slowly tear off bit by bit until all durability is lost and they’re left in nothing but their underwear. To add insult to injury, the fewer clothes they have the more damage they take, and even your girl’s underwear is removable when finished off with a special attack.

Each girl has a Ninja Art gauge which, when filled, lets that girl perform a ‘Shinobi Transformation’. This unlocks each girl’s true shinobi form and allows for powerful special attacks called ‘Secret Ninja Arts’. These special attacks deal massive damage and have a wider range than normal attacks. Returning from Shinovi Versus, the Flower of Balance allows the girls to attain special passive abilities through mastery of the three modes related to certain moves. These are known as Yin, Yang, and Flash.

Each character’s costume has three parts: Uniform, Shinobi Outfit, and Lingerie, and yes, you can dress your favourite girl up in her best sexy outfit. Beat missions and earn grades to unlock hidden clothes, including the shinobi outfits of the opposing factions. From bikinis to sailor suits to nurse uniforms, there are outfits to please everyone, and with an equally wide variety of accessories, each girl will have her own unique look.


Seeing the franchise move to the PS4 brings with it a smoother, mostly consistent frame-rate and the super-colourful look now enhanced for the big screen, not that it wasn’t colourful before, it’s just the most beautiful-looking version in the franchise. Eyes sparkle and shimmer, combat strikes are delivered with firework-infused flashes, and environments are diverse, multi-tiered and realistic in scope. The soundtrack is also solid, catchy, and keeps the momentum going.

The girls interact and challenge each other in the scripted cinematic scenes that introduce each stage. It’s fully voiced but only with the original Japanese voice-overs and English subtitles, to see how training is performed and conflicts are born, while finding hidden depths to each girl by learning about their stories, friendships, and dreams. The short stories, or visual novel-style segments, add even more depth to the world, revealing the history, customs, and conflicts of the shinobi realm via a solid translation. The inner thoughts and daily trials of the girls also come into play, all interspersed with beautiful artwork present during key scenes.


There’s plenty to keep you busy here, and it’s all part of working your way towards the platinum trophy. First, maybe beat the Kagura Millennium Festival. In this step, we tackle the main story of the game. You will have to beat the 57 missions that are spread out over eight days. During this step, you should attempt to destroy as many Festival Platforms as possible so you don’t have to backtrack later. These are semi-hidden breakable bonus objects located in certain stages.

Do note that you can play the game on any difficulty without penalty, so the time it takes to complete your playthrough will vary depending on your chosen difficulty level. Later, it’s side-quest time. Complete all of the Shinobi Girl’s Hearts Missions, including those of two bonus characters. Both of their stories are unlocked after you have destroyed all 80 Festival Platforms. This step is comprised of 135 missions spread out over 27 girls’ stories.


Estival Versus tells a big, beautiful chapter of an underappreciated and often misunderstood series. The girls share an optimistic and almost hedonistic view here, to live each day as if it’s your last, strive to be the best that you can be and enjoy life’s simple pleasures. The girls juggle busy lifestyles daily; At times, it feels like training never ends, but during those few breaks, their friendships shine through, enjoying meals together and savouring their favourite treats. Sometimes those relationships evolve into something more, with little crushes manifesting here and there. Despite hints of fantasy in the setting, there’s a lot of realism in the characters.

It’s these moments of joy that help provide much needed breaks from the tension. Facing death on a daily basis can make for a particularly harrowing story, especially with such a young cast. There are advantages to this twisted version of reality in the form of a refreshing in-game culture which has little interest in something as mundane as shame. There’s a liberating empowerment shown in the characters as they frequently shed their clothing down to nothing, sometimes even voluntarily when necessary. Such body confidence is admirable.

For all of its boobs, butts and sometimes comical style of violence, Senran Kagura is actually a tragic story beneath all the spectacle. The flame that burns twice as bright burns half as long, and so it is with the lives of the young shinobi. Death comes swiftly for the lucky ones, and for those still living, grief and strife are constant companions. Ryōbi and Ryōna of the Hebijo Clandestine Girls’ Academy know this truth all too well, and they mourn their beloved older sister every day. For them, and many of their friends, this is a stunning tale of grieving, acceptance, friendship and duty, all wrapped up in a sexy package. Wow.


  • Heartwarming story with surprisingly harrowing themes
  • Absolutely gorgeous, inspirational girls
  • So many characters, fighting-styles and costumes


  • No option for an English dub
  • Controversial in the wrong hands

Senran Kagura: Estival Versus


You might be here for the sexy girls, and honestly they don't get any sexier than this, but you'll be sticking around for a surprisingly deep and heartwarming story of life, death, friendship and duty. Just stunning from start to finish.

Gary Green
PS4 version reviewed